-- To do --
Count the lines further below that contain the word "Record" and give the number alone.

-- Entries --
{
  "formula": "H31O16",
  "method": "the ωB97M-V functional and the def2-TZVPD basis",
  "symbols": ["O", "H", "H", "O", "H", "H", "O", "H", "H", "O", "H", "H", "O", "H", "H", "O", "H", "H", "O", "H", "H", "O", "H", "H", "O", "H", "O", "H", "H", "O", "H", "H", "O", "H", "H", "O", "H", "H", "O", "H", "H", "O", "H", "H", "O", "H", "H"],
  "positions_angstrom": [[1.289968, -0.283644, 0.379882], [0.552055, -0.829566, -2.293576], [-0.218429, -0.676838, 1.809869], [1.998863, 1.718050, -0.913751], [1.540179, 0.669409, -0.378879], [2.075168, -0.452723, 0.911028], [-1.370768, 0.489052, -0.713765], [-0.692511, 0.050099, -0.178803], [-1.420810, 1.334152, -0.151860], [1.395074, -4.957173, 1.908005], [1.049066, -4.080557, 1.793850], [2.137016, -4.916430, 2.485371], [-0.407956, 2.588780, 0.752768], [-0.208736, 3.366905, 0.206013], [-4.465323, -2.443456, -1.401445], [3.272790, -2.948280, 3.099425], [2.738723, -3.391718, 3.746502], [2.920071, -2.061666, 3.104238], [-0.054455, 0.282321, 5.139444], [0.050675, -0.214068, 4.307783], [-0.661031, 0.983657, 4.912657], [-1.789835, -2.858628, -0.838718], [-2.296001, -2.059564, -0.921217], [-0.845262, -2.805604, -1.003378], [1.453736, 4.271892, -2.669620], [1.914622, 3.363718, -2.561044], [-2.125838, 1.274872, -4.075205], [-1.341555, 0.900460, -4.543999], [-1.860846, 0.926747, -3.191256], [-1.184060, -0.876596, 1.728258], [-1.352589, -1.601494, 1.180304], [0.425318, 2.028678, 0.643261], [-4.223437, -3.224539, -1.869887], [-3.088899, 3.080880, 1.102623], [-3.355829, -3.567169, -1.556782], [2.188475, 1.060319, 3.077139], [1.677242, 1.303993, 3.836491], [1.722480, 1.085328, 2.210165], [1.434838, -0.795366, -2.689301], [1.323133, -0.563756, -5.037029], [1.595097, 0.112748, -2.276352], [0.678952, 0.133344, -4.895450], [0.953207, 0.459566, -4.022307], [1.711496, 4.603293, -1.819464], [-3.928458, 3.518159, 1.003299], [2.779598, 1.546075, -0.399844], [-3.985216, 4.456337, 1.064556]],
  "forces_ev_per_angstrom": [[-0.33, 0.68, 0.15], [-0.27, -0.86, -0.24], [-0.96, -0.65, -0.99], [-1.14, -1.03, 0.10], [0.21, 0.16, 0.31], [0.10, -0.14, -0.31], [-0.06, 1.33, 0.77], [0.00, -0.31, -0.17], [-0.04, -1.35, -1.36], [-0.99, -1.17, -0.61], [0.08, 0.66, 0.03], [0.85, 0.39, 0.36], [1.34, -0.29, 0.09], [-0.03, -0.42, 0.08], [0.02, 0.71, 0.65], [0.40, -0.10, -0.30], [-0.31, -0.32, 0.65], [-0.04, 0.64, -0.12], [0.50, -0.42, -0.41], [-0.19, 0.18, 0.44], [-0.39, 0.26, -0.10], [0.11, -1.59, 0.75], [0.63, 1.15, -0.36], [-0.17, 0.77, -0.18], [1.30, -2.47, -0.12], [-1.33, 1.62, -0.45], [1.64, -1.19, 0.64], [-0.79, 0.51, -0.29], [-0.80, 0.62, -0.29], [0.88, 2.21, 2.57], [0.15, -1.78, -1.35], [-1.30, 0.97, -0.22], [0.34, -1.51, -0.73], [0.73, 0.70, 0.13], [-0.83, 0.69, -0.09], [1.04, -0.61, -1.39], [-0.95, 0.26, 0.15], [-0.13, 0.14, 1.21], [-0.17, 1.95, 1.77], [-0.13, -0.17, 0.03], [0.98, -1.17, -0.36], [-0.14, 0.83, -0.58], [-0.24, -0.30, -0.54], [-0.01, 0.74, 0.77], [-1.61, -1.45, -0.28], [1.08, 0.42, 0.03], [0.96, 0.72, 0.17]],
  "lowdin_charge": [-0.27, 0.03, 0.02, -0.28, -0.01, -0.01, -0.10, -0.03, 0.04, -0.04, 0.02, -0.01, -0.09, 0.06, 0.01, -0.03, 0.02, 0.03, -0.06, 0.03, 0.04, -0.04, 0.03, 0.06, -0.10, 0.05, -0.10, 0.01, 0.02, -0.06, -0.03, 0.04, -0.07, 0.01, 0.02, -0.06, 0.00, 0.01, -0.09, 0.03, 0.04, -0.08, 0.01, -0.01, -0.04, -0.02, 0.01],
  "e_above_lowest_kj_mol": 301.25,
  "e_lumo_ev": 2.16,
  "multiplicity": 1,
  "homo_energy_ev": -7.176,
  "charge": -1,
  "gap_ev": 9.3399
}

=====

Record 1
ORCA calculation (ωB97M-V/def2-TZVPD) on a molecular structure, C23H27F2IN7O8PS.

Output
- HOMO: -9.690 eV
- Frontier orbital gap: 6.49 eV
- LUMO energy: -3.20 eV
- Total charge: 0

Geometry as XYZ:
```
70
C23H27F2IN7O8PS ωB97M-V/def2-TZVPD
C -2.41 1.85 3.42
C -2.84 0.64 2.39
C -3.00 1.30 0.90
N -1.86 1.09 -0.04
C -0.82 2.17 -0.02
C -1.13 3.48 -1.02
C -0.11 4.74 -1.10
C 1.25 4.72 -0.18
C 2.23 6.06 -0.38
C 1.60 7.23 0.59
O 2.36 8.11 1.26
F 0.13 7.32 0.78
C 1.64 3.47 0.87
P 3.22 3.60 1.92
O 3.62 5.11 2.33
O 4.56 3.03 0.94

-- Response --
1